Valuing my lincoln penny including my 1955 dd

I have a 1941- 1973 library of coins lincoln cent book part 2 vol 3.
All of the coins in my book are in pristine condition.
I have the 1955 double die as well as the 1960 small date 1960 large date 1960-D small date 1960-D Large date.
• What comes next are calculated crystals, not part of the text:
'''
--- one ---
VASP calculation (PBE) on crystalline Sm2CoNi at its relaxed geometry.

a = 4.8592 Å, b = 4.8592 Å, c = 3.4210 Å
α = 90.00°, β = 90.00°, γ = 90.00°
Last column: nearest neighbours and their distance in Å.
Positions (direct):
Sm: 0.0000 0.5000 0.0000  4 Co 2.97, 4 Ni 2.97
Sm: 0.5000 0.0000 0.0000  4 Co 2.97, 4 Ni 2.97
Co: 0.0000 0.0000 0.5000  8 Sm 2.97
Ni: 0.5000 0.5000 0.5000  8 Sm 2.97

Values from the calculation:
Space group: P4/mmm, No. 123
ρ: 8.60 g/cm3
Total magnetization: 0.284 μB per formula unit
V: 20.19 Å³ per atom



--- two ---
VASP calculation (PBE) on crystalline Sm2CoNi at its relaxed geometry.

a = 7.3818 Å, b = 7.3818 Å, c = 7.3818 Å
α = 31.02°, β = 31.02°, γ = 31.02°
Last column: nearest neighbours and their distance in Å.
Positions (direct):
Sm: 0.0000 0.0000 0.0000  3 Ni 2.94, 3 Co 2.95
Sm: 0.1767 0.1767 0.1767  3 Co 2.94, 3 Ni 2.94
Co: 0.7554 0.7554 0.7554  3 Ni 2.28
Ni: 0.4215 0.4215 0.4215  3 Co 2.28

Values from the calculation:
Space group: R3m, No. 160
ρ: 7.33 g/cm3
Total magnetization: 0.000 μB per formula unit
V: 23.69 Å³ per atom



Verdict on stability: two comes out on top.



--- one ---
VASP calculation (PBE) on crystalline CoNiSn2 at its relaxed geometry.

a = 9.0286 Å, b = 9.0286 Å, c = 9.0286 Å
α = 20.01°, β = 20.01°, γ = 20.01°
Last column: nearest neighbours and their distance in Å.
Positions (direct):
Co: 0.0000 0.0000 0.0000  6 Sn 2.65
Ni: 0.5000 0.5000 0.5000  2 Sn 2.49
Sn: 0.4061 0.4061 0.4061  1 Ni 2.49, 3 Co 2.65
Sn: 0.5939 0.5939 0.5939  1 Ni 2.49, 3 Co 2.65

Values from the calculation:
Space group: R-3m, No. 166
ρ: 7.82 g/cm3
Total magnetization: 1.109 μB per formula unit
V: 18.85 Å³ per atom



--- two ---
VASP calculation (PBE) on crystalline CoNiSn2 at its relaxed geometry.

a = 4.4841 Å, b = 4.4841 Å, c = 4.4841 Å
α = 60.00°, β = 60.00°, γ = 60.00°
Last column: nearest neighbours and their distance in Å.
Positions (direct):
Co: 0.0000 0.0000 0.0000  8 Sn 2.75
Ni: 0.5000 0.5000 0.5000  8 Sn 2.75
Sn: 0.2500 0.2500 0.2500  4 Co 2.75, 4 Ni 2.75
Sn: 0.7500 0.7500 0.7500  4 Co 2.75, 4 Ni 2.75

Values from the calculation:
Space group: Fm-3m, No. 225
ρ: 9.25 g/cm3
Total magnetization: 0.000 μB per formula unit
V: 15.94 Å³ per atom



--- three ---
VASP calculation (PBE) on crystalline CoNiSn2 at its relaxed geometry.

a = 5.7607 Å, b = 5.7607 Å, c = 5.7607 Å
α = 105.68°, β = 105.68°, γ = 117.35°
Last column: nearest neighbours and their distance in Å.
Positions (direct):
Co: 0.0000 0.0000 0.0000  4 Sn 2.56
Co: 0.7500 0.2500 0.5000  4 Sn 2.56
Ni: 0.2500 0.7500 0.5000  4 Sn 2.58
Ni: 0.5000 0.5000 0.0000  4 Sn 2.58
Sn: 0.1233 0.1250 0.4983  2 Co 2.56, 2 Ni 2.58
Sn: 0.3750 0.8767 0.0017  2 Co 2.56, 2 Ni 2.58
Sn: 0.6267 0.6250 0.5017  2 Co 2.56, 2 Ni 2.58
Sn: 0.8750 0.3733 0.9983  2 Co 2.56, 2 Ni 2.58

Values from the calculation:
Space group: I-42d, No. 122
ρ: 8.13 g/cm3
Total magnetization: 0.017 μB per formula unit
V: 18.13 Å³ per atom



Verdict on stability: two comes out on top.
'''
I added some pictures to help you help me.
I seen the value of the 1955 in ms65 condition which mine should fall into that category and should be around $4,000.
Considering the 1955 doubled die is worth far more than any other coin in that set, could you show a photo of it? Not even the full-page shots include it.
You can see the doubling in the year on the 5.
That isn’t the doubled die
Take a moment to Google the actual doubled die. You don’t need to explain where to look on that coin.
Then what would it be? I'll post more pictures.

Dramatic cracked skull.
"Inspiration exists, but it has to find you working" Pablo Picasso
Those images are taken from PCGS’ CoinFacts
Already answered:
Not a doubled die, it seems a little off centered, and something wrong with the head.
You have the so-called "Poor Man's Doubled Die" which is not actually a doubled die but rather has severe die deterioration.
Definitely not the '55 DDO.... Nice album of cents.... Cheers, RickO
The 1955 is not the double die that brings big money. As others have said, it is the "poor man's double die" which is worth very little.
Your set of Lincoln's is a very nice looking album set but unfortunately has little value in today's plastic dominated market. The coins would not be worth slabbing.
The 1970 s small date is one of the more desirable cents in this date range, but it doesn't appear that you have one.
Just offhand, I would put your set at 80 to 100 bucks.
You have gone all this time meticulously putting together an uncirculated set, most likely one or two coins at a time.
..............and you never thought to look up the 1955 DDO?
Well now you can actually try to purchase one with the help we've given you.
I sold a similar set a couple years back for $40
I was thinking roughly $50, but perhaps that’s a little high. The steelies may have been processed.
Nice little set, just not very valuable
The Dansco album itself has some value in today's market.
good point. $20 or so for good used album?
I'm not sure what they bring but $20 sounds reasonable if it is in nice condition.
The piece is interrupted by records of crystals:
┌──
The following is a DFT calculation (PBE-GGA) of an optimized crystal structure of CoBi2Au.

a = 3.4651 Å, b = 3.4651 Å, c = 28.9773 Å
α = 90.00°, β = 90.00°, γ = 120.00°
Closest atoms and distances in Å follow each position.
Space group R-3m (No. 166, hexagonal axes)
Inequivalent atoms, fractional coordinates:
Co  0.0000  0.0000  0.0000 (multiplicity 3)  2 Bi 2.56
Bi  0.0000  0.0000  0.0885 (multiplicity 6)  1 Co 2.56
Au  0.0000  0.0000  0.5000 (multiplicity 3)  6 Bi 3.02

Summary:
- Final energy: -15.5 eV per formula unit
- D(E_F): 1.17 states/eV/atom
- M_tot: 1.64 μB per formula unit

The following is a DFT calculation (PBE-GGA) of an optimized crystal structure of CoBi3Au.

a = 5.0898 Å, b = 5.0898 Å, c = 5.0898 Å
α = 90.00°, β = 90.00°, γ = 90.00°
Closest atoms and distances in Å follow each position.
Space group Pm-3m (No. 221)
Inequivalent atoms, fractional coordinates:
└──
it is not a Dansco -> a Library of Coins album like this one on eBay
You are correct. It is Library of Coins. That should also have some value though the pen written dates will detract from its value. I have no idea what the actually sell for.
The $39.95 + shipping for the one on eBay sounds very excessive to me. Note that is an asking price and not a completed sale.